I går offentliggjorde kardinal og leder av Troskongragasjonen, William Joseph Levada, et nytt dokument som på engelsk heter «A Doctrinal Note on some Aspects of Evangelization». Kardinalen sa at:
“For Christian evangelization, “the incorporation of new members into the Church is not the expansion of a power-group, but rather entrance into the network of friendship with Christ which connects heaven and earth, different continents and ages.” In this sense, then, “the Church is the bearer of the presence of God and thus the instrument of the true humanization of man and the world.” Cardinal Levada summarised that when individual persons decide in conscience to enter the Catholic Church, their decision should be respected without accusing the Catholic Church of a negative form of proselytism.
Sektretær for Troskongragasjonen, F. Joseph Augustine Di Noia, la til at: The document first began as a project under the then prefect Cardinal Joseph Ratzinger, in attempts to clarify one fundamental problem: “The fundamental problem is a pluralistic theology of religion which essentially states that all religions are equally valid in leading a person to salvation, so that the Church and Christ cannot claim that Christianity has some special path to salvation, but that each path is valid for people let’s say who are born into it culturally or socially . That fundamental error was addressed by the document Dominus Iesus, but now the missionary implications are being addressed in this document”
Hyggelig lesning med viktige klargjøringer, selv om stilen er noe moderne «touchy-feely» og ikke akkurat St. Pius X-stil, utenom henvisningene.
## Records of crystals that have nothing to do with the article
........
Entry 1:
Simulated powder XRD pattern of Ho2Zn17 for Cu Kα, from DFT lattice parameters and positions (PBE).
Peak positions follow from Bragg's law for the DFT cell and can differ from measured ones.

a b c (Å): 9.0653 9.0653 8.6502
angles (deg): 90.00 90.00 120.00
Sites, in units of the cell vectors:
Ho: 0.0000 0.0000 0.2500
Ho: 0.0000 0.0000 0.7500
Ho: 0.3333 0.6667 0.2500
Ho: 0.6667 0.3333 0.7500
Zn: 0.0000 0.5000 0.0000
Zn: 0.0000 0.5000 0.5000
Zn: 0.0308 0.3602 0.7500
Zn: 0.0308 0.6706 0.7500
Zn: 0.1612 0.3224 0.0169
Zn: 0.1612 0.3224 0.4831
Zn: 0.1612 0.8388 0.0169
Zn: 0.1612 0.8388 0.4831
Zn: 0.3224 0.1612 0.5169
Zn: 0.3224 0.1612 0.9831
Zn: 0.3294 0.3602 0.7500
Zn: 0.3294 0.9692 0.7500
Zn: 0.3333 0.6667 0.5971
Zn: 0.3333 0.6667 0.9029
Zn: 0.3602 0.0308 0.2500
Zn: 0.3602 0.3294 0.2500
Zn: 0.5000 0.0000 0.0000
Zn: 0.5000 0.0000 0.5000
Zn: 0.5000 0.5000 0.0000
Zn: 0.5000 0.5000 0.5000
Zn: 0.6398 0.6706 0.7500
Zn: 0.6398 0.9692 0.7500
Zn: 0.6667 0.3333 0.0971
Zn: 0.6667 0.3333 0.4029
Zn: 0.6706 0.0308 0.2500
Zn: 0.6706 0.6398 0.2500
Zn: 0.6776 0.8388 0.0169
Zn: 0.6776 0.8388 0.4831
Zn: 0.8388 0.1612 0.5169
Zn: 0.8388 0.1612 0.9831
Zn: 0.8388 0.6776 0.5169
Zn: 0.8388 0.6776 0.9831
Zn: 0.9692 0.3294 0.2500
Zn: 0.9692 0.6398 0.2500

Main lines, in order of rising 2θ (5° ≤ 2θ ≤ 70°):
- 34.3°, rel. 42, (3 0 0)
- 38.7°, rel. 30, (2 0 3)
- 39.8°, rel. 56, (2 2 0)
- 40.3°, rel. 100, (3 0 2)
- 41.8°, rel. 31, (0 0 4)
- 45.2°, rel. 27, (2 2 2)

Entry 2:
Simulated powder XRD pattern of PdSeO3 for Cu Kα, from DFT lattice parameters and positions (PBE).
Peak positions follow from Bragg's law for the DFT cell and can differ from measured ones.

a b c (Å): 4.0305 6.5655 6.2622
angles (deg): 90.00 95.91 90.00
Sites, in units of the cell vectors:
Pd: 0.0000 0.0000 0.0000
Pd: 0.0000 0.5000 0.0000
Se: 0.4460 0.2500 0.6780
Se: 0.5540 0.7500 0.3220
O: 0.2802 0.2500 0.9426
O: 0.2990 0.5410 0.2816
O: 0.2990 0.9590 0.2816
O: 0.7010 0.0410 0.7184
O: 0.7010 0.4590 0.7184
O: 0.7198 0.7500 0.0574

Main lines, in order of rising 2θ (5° ≤ 2θ ≤ 70°):
- 14.2°, rel. 96, (0 0 1)
- 19.6°, rel. 100, (0 1 1)
- 25.1°, rel. 74, (1 0 -1)
- 30.8°, rel. 62, (0 2 1)
- 35.3°, rel. 92, (1 2 0)
- 59.3°, rel. 56, (2 2 -2)

=====

For Sr5Ti5O13, a cell relaxed with PBE gives the simulated powder XRD pattern in this record (Cu Kα).

Peak list (6 most intense, 5° ≤ 2θ ≤ 70°, in order of rising 2θ)
| 2θ/deg | d (Å) | I_rel | (hkl) |
| --- | --- | --- | --- |
| 32.00 | 2.797 | 100.0 | -1 2 1 |
| 32.07 | 2.791 | 21.8 | 1 0 3 |
| 39.47 | 2.283 | 21.2 | 2 1 3 |
| 45.78 | 1.982 | 15.3 | 2 2 0 |
| 56.99 | 1.616 | 23.9 | 1 4 1 |
| 57.10 | 1.613 | 18.5 | 0 4 3 |

Structure:
Lattice parameters (Å, degrees): 5.6012 6.8501 8.8208 75.12 71.57 89.90
Space group P-1 (No. 2)
Inequivalent atoms, fractional coordinates:
Sr (0.0000, 0.0000, 0.0000) (multiplicity 1)
Sr (0.2032, 0.7987, 0.6035) (multiplicity 2)
Sr (0.4013, 0.5975, 0.1944) (multiplicity 2)
Ti (0.0000, 0.5000, 0.0000) (multiplicity 1)
........
## The article goes on
«Therefore, the work of ecumenism does not remove the right or take away the responsibility of proclaiming in fulness the Catholic faith to other Christians, who freely wish to receive it.»
-Her snakkes det om retten og plikten til å bekjenne den katolske tro. Dialog er altså en måte å formidle den katolske tro på, ikke et mål i seg selv.
«We believe the Church is necessary for salvation because Christ, who is the sole mediator and exclusive way of salvation, renders Himself present for us in His body which is the Church. We must always remember the unity of the mystical body, without which there can be no salvation, is open to no one outside the Catholic Church. ~ Pope Paul VI»
– Til og med Paul VI kunne være tydelig når han ville.
– Hva sier Kasper til alt dette? Jamfør dette med Kaspers tirader om anglikanernes konversjon….
Under har jeg limt inn en liten historie om St. Frans av Asissi og hans evangelisering.
Sammenlign den med Kasper og tenk etter.
«St. Francis of Assisi accompanied the Crusaders to Egypt on the Fifth Crusade, and boldly walked right into the Muslim camp in a spectacular attempt to preach Christianity to the Sultan and his followers. The author shows that St. Francis was a supporter of the armed Crusade, and his goal was the conversion of the Muslims, rather than simply «dialoging» as an end in itself, as some revisionists have purported. He made such an impact with his preaching, that the sultan rebuffed some of his own religious advisors, the imams, who were insisting that Islamic law required that St. Francis must be beheaded. «